File.
=====
(1)
AcGaO3 after structural relaxation. Source: the Materials Project database, functional GGA-PBE.

```
AcGaO3
1.0
3.9774 0.0000 0.0000
0.0000 3.9774 0.0000
0.0000 0.0000 3.9774
Ac Ga O
1 1 3
direct
0.0000 0.0000 0.0000
0.5000 0.5000 0.5000
0.0000 0.5000 0.5000
0.5000 0.0000 0.5000
0.5000 0.5000 0.0000
```

SG = Pm-3m (221)

---

(2)
Na2Ca2Ti6Si3S9O48 after structural relaxation. Source: the Materials Project database, functional GGA-PBE.

```
Na2Ca2Ti6Si3S9O48
1.0
8.7650 0.0000 0.0000
0.0014 15.2326 0.0000
0.0180 0.1098 22.8834
Na Ca Ti Si S O
6 6 18 9 27 144
direct
0.0000 0.0000 0.0000
0.0020 0.0048 0.5044
0.0062 0.6720 0.1643
0.4928 0.1709 0.6660
0.4963 0.5057 0.0024
0.4995 0.5052 0.5013
0.0060 0.6739 0.0210
0.4935 0.1703 0.5220
0.5010 0.5079 0.6470
0.5054 0.1696 0.8179
0.9948 0.6696 0.3181
0.9988 0.0083 0.1468
0.0008 0.6855 0.5241
0.0028 0.3302 0.4835
0.0030 0.3350 0.1898
0.0049 0.9952 0.6435
0.0057 0.6841 0.8126
0.0068 0.3322 0.6914
0.0082 0.3406 0.9769
0.4865 0.8274 0.9779
0.4919 0.8352 0.6928
0.4927 0.4954 0.1421
0.4930 0.8392 0.4787
0.4938 0.8353 0.1853
0.4986 0.1845 0.0231
0.5030 0.1762 0.3097
0.5098 0.4963 0.8552
0.5132 0.5020 0.3493
0.9850 0.9961 0.8536
0.9969 0.9937 0.3549
0.1384 0.1904 0.5884
0.1448 0.8196 0.9172
0.2204 0.8372 0.5851
0.2789 0.3360 0.0843
0.3586 0.6899 0.0866
0.6485 0.3613 0.2483
0.6528 0.3173 0.9181
0.8459 0.8169 0.4183
0.8502 0.8610 0.7488
0.1333 0.4804 0.5817
0.1472 0.1509 0.2542
0.1501 0.5234 0.9142
0.1521 0.8594 0.2499
0.2032 0.1699 0.9207
0.2166 0.5008 0.2479
0.2821 0.0017 0.7479
0.2966 0.6691 0.4207
0.3492 0.3595 0.7503
0.3503 0.0240 0.4141
0.3517 0.3206 0.4150
0.3516 0.6499 0.7534
0.3654 0.9805 0.0809
0.6359 0.6476 0.2470
0.6434 0.9761 0.5872
0.6448 0.6983 0.5816
0.6459 0.0217 0.9216
0.7035 0.0041 0.2540
0.7039 0.6694 0.9150
0.7226 0.3380 0.5851
0.7769 0.8377 0.0842
0.7968 0.1703 0.4147
0.7977 0.5046 0.7532
0.8510 0.5205 0.4211
0.8541 0.1987 0.0814
0.8550 0.4764 0.0871
0.8623 0.1467 0.7474
0.0501 0.0967 0.5942
0.0603 0.5664 0.5720
0.0605 0.7913 0.9743
0.0667 0.2420 0.5284
0.0723 0.4406 0.6357
0.0756 0.1073 0.3047
0.0771 0.2391 0.2464
0.0766 0.5653 0.8637
0.0803 0.4345 0.9223
0.0806 0.9194 0.8998
0.0840 0.8990 0.1988
0.0919 0.2587 0.6427
0.0927 0.7706 0.2569
0.1002 0.4219 0.5295
0.1027 0.0922 0.9151
0.1028 0.2482 0.9325
0.1067 0.9219 0.5923
0.1101 0.7543 0.8605
0.1127 0.7497 0.5729
0.1141 0.9149 0.3035
0.1185 0.5776 0.2521
0.1223 0.4200 0.2418
0.1392 0.1006 0.2009
0.1393 0.5726 0.9682
0.1710 0.3230 0.1422
0.1735 0.3526 0.0272
0.1769 0.3570 0.7445
0.1800 0.6821 0.0904
0.1814 0.0118 0.4029
0.1837 0.3291 0.4233
0.1841 0.6610 0.7640
0.1851 0.0128 0.6949
0.1898 0.9899 0.8012
0.1940 0.6538 0.4719
0.1993 0.9894 0.0847
0.2153 0.6878 0.3673
0.2850 0.1891 0.8674
0.3004 0.4880 0.5827
0.3058 0.1550 0.9720
0.3122 0.4901 0.3020
0.3145 0.5130 0.1957
0.3154 0.1637 0.2673
0.3180 0.1860 0.5883
0.3186 0.5105 0.9027
0.3221 0.8579 0.2450
0.3248 0.8526 0.5270
0.3279 0.8231 0.6422
0.3317 0.8293 0.9263
0.3595 0.0743 0.4679
0.3658 0.6010 0.6996
0.3782 0.9205 0.7409
0.3820 0.0779 0.7505
0.3817 0.2623 0.3643
0.3817 0.4144 0.8030
0.3864 0.2488 0.0729
0.3918 0.4212 0.0924
0.3961 0.5899 0.4145
0.3979 0.7466 0.4325
0.3980 0.9229 0.0301
0.4054 0.2700 0.7562
0.4053 0.7578 0.1422
0.4139 0.3979 0.6978
0.4155 0.4111 0.4031
0.4198 0.9358 0.4215
0.4214 0.0684 0.3639
0.4228 0.7389 0.7460
0.4236 0.6072 0.8041
0.4252 0.2890 0.4679
0.4261 0.9398 0.1366
0.4327 0.7398 0.0280
0.4395 0.0666 0.0738
0.4482 0.5959 0.0954
0.5645 0.2702 0.9756
0.5640 0.4088 0.1944
0.5645 0.7359 0.2422
0.5699 0.4173 0.9092
0.5711 0.2652 0.2665
0.5709 0.6060 0.3031
0.5768 0.6105 0.5832
0.5777 0.0640 0.5845
0.5782 0.7435 0.5304
0.5788 0.9311 0.6391
0.5800 0.0518 0.8674
0.5896 0.9322 0.9343
0.5964 0.5936 0.9025
0.5987 0.5914 0.1973
0.6035 0.0821 0.2684
0.6076 0.9264 0.2473
0.6094 0.7500 0.9217
0.6115 0.4243 0.3071
0.6161 0.9266 0.5327
0.6192 0.0813 0.9715
0.6203 0.7473 0.6362
0.6277 0.4173 0.5844
0.6317 0.2579 0.5829
0.6389 0.2651 0.8603
0.6689 0.8483 0.7359
=====

Request.
Copy everything earlier on without additions.

Here it is.
(1)
AcGaO3 after structural relaxation. Source: the Materials Project database, functional GGA-PBE.

```
AcGaO3
1.0
3.9774 0.0000 0.0000
0.0000 3.9774 0.0000
0.0000 0.0000 3.9774
Ac Ga O
1 1 3
direct
0.0000 0.0000 0.0000
0.5000 0.5000 0.5000
0.0000 0.5000 0.5000
0.5000 0.0000 0.5000
0.5000 0.5000 0.0000
```

SG = Pm-3m (221)

---

(2)
Na2Ca2Ti6Si3S9O48 after structural relaxation. Source: the Materials Project database, functional GGA-PBE.

```
Na2Ca2Ti6Si3S9O48
1.0
8.7650 0.0000 0.0000
0.0014 15.2326 0.0000
0.0180 0.1098 22.8834
Na Ca Ti Si S O
6 6 18 9 27 144
direct
0.0000 0.0000 0.0000
0.0020 0.0048 0.5044
0.0062 0.6720 0.1643
0.4928 0.1709 0.6660
0.4963 0.5057 0.0024
0.4995 0.5052 0.5013
0.0060 0.6739 0.0210
0.4935 0.1703 0.5220
0.5010 0.5079 0.6470
0.5054 0.1696 0.8179
0.9948 0.6696 0.3181
0.9988 0.0083 0.1468
0.0008 0.6855 0.5241
0.0028 0.3302 0.4835
0.0030 0.3350 0.1898
0.0049 0.9952 0.6435
0.0057 0.6841 0.8126
0.0068 0.3322 0.6914
0.0082 0.3406 0.9769
0.4865 0.8274 0.9779
0.4919 0.8352 0.6928
0.4927 0.4954 0.1421
0.4930 0.8392 0.4787
0.4938 0.8353 0.1853
0.4986 0.1845 0.0231
0.5030 0.1762 0.3097
0.5098 0.4963 0.8552
0.5132 0.5020 0.3493
0.9850 0.9961 0.8536
0.9969 0.9937 0.3549
0.1384 0.1904 0.5884
0.1448 0.8196 0.9172
0.2204 0.8372 0.5851
0.2789 0.3360 0.0843
0.3586 0.6899 0.0866
0.6485 0.3613 0.2483
0.6528 0.3173 0.9181
0.8459 0.8169 0.4183
0.8502 0.8610 0.7488
0.1333 0.4804 0.5817
0.1472 0.1509 0.2542
0.1501 0.5234 0.9142
0.1521 0.8594 0.2499
0.2032 0.1699 0.9207
0.2166 0.5008 0.2479
0.2821 0.0017 0.7479
0.2966 0.6691 0.4207
0.3492 0.3595 0.7503
0.3503 0.0240 0.4141
0.3517 0.3206 0.4150
0.3516 0.6499 0.7534
0.3654 0.9805 0.0809
0.6359 0.6476 0.2470
0.6434 0.9761 0.5872
0.6448 0.6983 0.5816
0.6459 0.0217 0.9216
0.7035 0.0041 0.2540
0.7039 0.6694 0.9150
0.7226 0.3380 0.5851
0.7769 0.8377 0.0842
0.7968 0.1703 0.4147
0.7977 0.5046 0.7532
0.8510 0.5205 0.4211
0.8541 0.1987 0.0814
0.8550 0.4764 0.0871
0.8623 0.1467 0.7474
0.0501 0.0967 0.5942
0.0603 0.5664 0.5720
0.0605 0.7913 0.9743
0.0667 0.2420 0.5284
0.0723 0.4406 0.6357
0.0756 0.1073 0.3047
0.0771 0.2391 0.2464
0.0766 0.5653 0.8637
0.0803 0.4345 0.9223
0.0806 0.9194 0.8998
0.0840 0.8990 0.1988
0.0919 0.2587 0.6427
0.0927 0.7706 0.2569
0.1002 0.4219 0.5295
0.1027 0.0922 0.9151
0.1028 0.2482 0.9325
0.1067 0.9219 0.5923
0.1101 0.7543 0.8605
0.1127 0.7497 0.5729
0.1141 0.9149 0.3035
0.1185 0.5776 0.2521
0.1223 0.4200 0.2418
0.1392 0.1006 0.2009
0.1393 0.5726 0.9682
0.1710 0.3230 0.1422
0.1735 0.3526 0.0272
0.1769 0.3570 0.7445
0.1800 0.6821 0.0904
0.1814 0.0118 0.4029
0.1837 0.3291 0.4233
0.1841 0.6610 0.7640
0.1851 0.0128 0.6949
0.1898 0.9899 0.8012
0.1940 0.6538 0.4719
0.1993 0.9894 0.0847
0.2153 0.6878 0.3673
0.2850 0.1891 0.8674
0.3004 0.4880 0.5827
0.3058 0.1550 0.9720
0.3122 0.4901 0.3020
0.3145 0.5130 0.1957
0.3154 0.1637 0.2673
0.3180 0.1860 0.5883
0.3186 0.5105 0.9027
0.3221 0.8579 0.2450
0.3248 0.8526 0.5270
0.3279 0.8231 0.6422
0.3317 0.8293 0.9263
0.3595 0.0743 0.4679
0.3658 0.6010 0.6996
0.3782 0.9205 0.7409
0.3820 0.0779 0.7505
0.3817 0.2623 0.3643
0.3817 0.4144 0.8030
0.3864 0.2488 0.0729
0.3918 0.4212 0.0924
0.3961 0.5899 0.4145
0.3979 0.7466 0.4325
0.3980 0.9229 0.0301
0.4054 0.2700 0.7562
0.4053 0.7578 0.1422
0.4139 0.3979 0.6978
0.4155 0.4111 0.4031
0.4198 0.9358 0.4215
0.4214 0.0684 0.3639
0.4228 0.7389 0.7460
0.4236 0.6072 0.8041
0.4252 0.2890 0.4679
0.4261 0.9398 0.1366
0.4327 0.7398 0.0280
0.4395 0.0666 0.0738
0.4482 0.5959 0.0954
0.5645 0.2702 0.9756
0.5640 0.4088 0.1944
0.5645 0.7359 0.2422
0.5699 0.4173 0.9092
0.5711 0.2652 0.2665
0.5709 0.6060 0.3031
0.5768 0.6105 0.5832
0.5777 0.0640 0.5845
0.5782 0.7435 0.5304
0.5788 0.9311 0.6391
0.5800 0.0518 0.8674
0.5896 0.9322 0.9343
0.5964 0.5936 0.9025
0.5987 0.5914 0.1973
0.6035 0.0821 0.2684
0.6076 0.9264 0.2473
0.6094 0.7500 0.9217
0.6115 0.4243 0.3071
0.6161 0.9266 0.5327
0.6192 0.0813 0.9715
0.6203 0.7473 0.6362
0.6277 0.4173 0.5844
0.6317 0.2579 0.5829
0.6389 0.2651 0.8603
0.6689 0.8483 0.7359